Input:
/*
Entry from the OMol25 dataset: a 2-piece molecular cluster, C5H12N2O2S2 overall at a distorted geometry (wB97M-V/def2-TZVPD).

Last column: natural (NBO) charge in e.
Cartesian coordinates (Å):
1 C 1.01097 0.31268 -1.51404  0.7956
2 C -1.44605 2.56510 1.10638  -0.7651
3 C 1.85623 -0.66869 -0.71833  -0.1583
4 C 0.97783 -1.40796 0.45136  -0.2185
5 C -2.24520 0.07469 1.40571  -0.5299
6 N 3.13734 -0.09527 -0.19776  -0.8516
7 N -0.24968 -2.11488 -0.03833  -0.8237
8 O 0.63708 -0.23635 -2.63739  -0.6851
9 O 0.68785 1.39965 -1.12194  -0.6110
10 S -3.34001 -1.24040 1.35557  0.1377
11 S -2.74500 1.42121 0.53241  0.3427
12 H -1.40807 2.41630 2.17514  0.2487
13 H -1.78222 3.68276 0.95609  0.2217
14 H -0.66621 2.51455 0.34005  0.2722
15 H 2.18519 -1.46435 -1.40140  0.2012
16 H 0.88651 -0.74553 1.28486  0.2121
17 H 1.64158 -2.20116 0.88171  0.1840
18 H 3.50294 -0.69839 0.47528  0.3599
19 H 3.18719 0.93954 0.15502  0.3857
20 H -0.13429 0.14805 -3.12265  0.5090
21 H -0.11388 -2.18439 -1.04124  0.3434
22 H -1.08595 -1.55271 -0.13247  0.3569
23 H -4.49413 -0.86445 0.80597  0.0725

Results
- HOMO (eV) = -8.87
- largest force on an atom (hartree/bohr) = 0.072
- calculated total energy (eV) = -34122.2735
- Kohn-Sham gap (eV) = 8.8678

=====

This record from the OMol25 dataset describes 10 unconnected molecules or ions with the total composition C13H46N14O13. The level of theory is ωB97M-V/def2-TZVPD.

Output
SMILES string	NC(N)=O.NC(N)=O.NC(N)=O.NC(N)=O.NC(N)=O.NC(N)=O.NC(N)=O.OCCO.OCCO.OCCO
E_LUMO	0.57	eV
relative energy (zero: lowest compared OMol25 entry of this formula, charge and spin)	3.91	kcal/mol
orbital gap	0.3620	Eh

Bonds (Å) are listed after each position.
Positions of all 86 atoms, in Å:
1 N 0.6706 -3.9610 -1.8184  C2 1.326, H5 0.980, H6 1.069
2 C 0.7573 -2.6452 -1.6810  N1 1.326, N3 1.376, O4 1.243
3 N -0.2758 -2.0909 -0.9604  C2 1.376, H7 1.003, H8 1.013
4 O 1.7094 -1.9727 -2.1137  C2 1.243
5 H 1.3564 -4.4463 -2.3237  N1 0.980
6 H -0.0329 -4.4981 -1.2191  N1 1.069
7 H -1.0490 -2.6269 -0.6141  N3 1.003
8 H -0.0798 -1.2686 -0.4013  N3 1.013
9 N 1.5534 0.2832 -4.6173  C10 1.366, H13 1.021, H14 0.996
10 C 0.8229 1.4305 -4.7401  N9 1.366, N11 1.406, O12 1.216
11 N 1.4599 2.6427 -4.4202  C10 1.406, H15 1.004, H16 0.975
12 O -0.2952 1.3720 -5.2156  C10 1.216
13 H 1.0430 -0.5394 -4.9405  N9 1.021
14 H 2.5386 0.2084 -4.4904  N9 0.996
15 H 0.8476 3.4163 -4.2340  N11 1.004
16 H 2.2074 2.4729 -3.8180  N11 0.975
17 N -4.3155 1.3061 -2.1260  C18 1.373, H21 1.010, H22 0.991
18 C -3.0878 1.1332 -2.7149  N17 1.373, N19 1.356, O20 1.268
19 N -3.0256 1.1803 -4.0688  C18 1.356, H23 1.023, H24 1.051
20 O -2.0601 0.9274 -2.0014  C18 1.268
21 H -4.9920 1.8939 -2.5924  N17 1.010
22 H -4.3312 1.3131 -1.1350  N17 0.991
23 H -3.8541 1.1208 -4.6663  N19 1.023
24 H -2.0693 1.1452 -4.5034  N19 1.051
25 N 3.2686 -1.1061 1.5007  C26 1.434, H29 1.021, H30 0.996
26 C 4.3888 -0.2440 1.7392  N25 1.434, N27 1.368, O28 1.204
27 N 4.2106 0.5713 2.8230  C26 1.368, H31 0.965, H32 1.009
28 O 5.2123 -0.0787 0.8773  C26 1.204
29 H 3.4841 -1.7199 0.7132  N25 1.021
30 H 2.5467 -1.2227 2.1774  N25 0.996
31 H 3.6783 0.3220 3.5886  N27 0.965
32 H 5.0991 0.9430 3.1239  N27 1.009
33 N -3.6363 -2.1752 2.1235  C34 1.346, H37 0.990, H38 0.992
34 C -3.0658 -2.0584 0.9095  N33 1.346, N35 1.312, O36 1.221
35 N -3.0501 -0.8522 0.3933  C34 1.312, H39 1.003, H40 1.039
36 O -2.7702 -3.0550 0.2682  C34 1.221
37 H -3.4474 -2.9707 2.6824  N33 0.990
38 H -3.9964 -1.3633 2.5658  N33 0.992
39 H -2.4077 -0.7415 -0.3692  N35 1.003
40 H -2.9056 -0.1005 1.0960  N35 1.039
41 N 0.5716 1.0054 -1.0974  C42 1.320, H45 0.963, H46 1.013
42 C 0.6544 0.7761 0.1997  N41 1.320, N43 1.349, O44 1.268
43 N 1.6274 1.4122 0.8839  C42 1.349, H47 1.053, H48 0.980
44 O -0.1307 -0.0150 0.8037  C42 1.268
45 H -0.2233 0.6753 -1.5288  N41 0.963
46 H 1.3264 1.4079 -1.6401  N41 1.013
47 H 2.1528 2.1308 0.3213  N43 1.053
48 H 1.9222 1.0501 1.7459  N43 0.980
49 N 3.7840 0.0012 -1.8874  C50 1.356, H53 0.991, H54 0.999
*/

Exercise:
The reader should find "-3.12265" and "1.406, O12" in the listing above, and duplicate these two lines and those between.

Solution:
20 H -0.13429 0.14805 -3.12265  0.5090
21 H -0.11388 -2.18439 -1.04124  0.3434
22 H -1.08595 -1.55271 -0.13247  0.3569
23 H -4.49413 -0.86445 0.80597  0.0725

Results
- HOMO (eV) = -8.87
- largest force on an atom (hartree/bohr) = 0.072
- calculated total energy (eV) = -34122.2735
- Kohn-Sham gap (eV) = 8.8678

=====

This record from the OMol25 dataset describes 10 unconnected molecules or ions with the total composition C13H46N14O13. The level of theory is ωB97M-V/def2-TZVPD.

Output
SMILES string	NC(N)=O.NC(N)=O.NC(N)=O.NC(N)=O.NC(N)=O.NC(N)=O.NC(N)=O.OCCO.OCCO.OCCO
E_LUMO	0.57	eV
relative energy (zero: lowest compared OMol25 entry of this formula, charge and spin)	3.91	kcal/mol
orbital gap	0.3620	Eh

Bonds (Å) are listed after each position.
Positions of all 86 atoms, in Å:
1 N 0.6706 -3.9610 -1.8184  C2 1.326, H5 0.980, H6 1.069
2 C 0.7573 -2.6452 -1.6810  N1 1.326, N3 1.376, O4 1.243
3 N -0.2758 -2.0909 -0.9604  C2 1.376, H7 1.003, H8 1.013
4 O 1.7094 -1.9727 -2.1137  C2 1.243
5 H 1.3564 -4.4463 -2.3237  N1 0.980
6 H -0.0329 -4.4981 -1.2191  N1 1.069
7 H -1.0490 -2.6269 -0.6141  N3 1.003
8 H -0.0798 -1.2686 -0.4013  N3 1.013
9 N 1.5534 0.2832 -4.6173  C10 1.366, H13 1.021, H14 0.996
10 C 0.8229 1.4305 -4.7401  N9 1.366, N11 1.406, O12 1.216